I slowly started to get up from the rubble, pulled the sword out of my chest with ease, and headed for Zero. His underlings began yelling that I was alive trying to warn him once they noticed I wasn't dead. My friends, and Zero all turned their heads towards me in the middle of their fight. I couldn't exactly read what emotions they were feeling from their facial expressions, but I assumed they weren't expecting me to be walking around with my wounds all healed. Usually, I would explain to them why I wasn't dead, but we didn't have time for that. We would have to deal with Zero before we could get to the explaining part.

Fueled by what looked like to be fear from his face, and frustration I'm guessing from not being able to finish the job, Zero rushed at me with his trident tight in his grasps. With great speed, he used his trident, and blasted me with a beam of dark energy right through my heart. I fell to the ground, and coughed up lots of blood. Once again, I died. Well, "died." I got back up quickly, and smirked.

"I can't die, dumbass," I said, as I stared directly into Zero's enraged, scared, and shocked eyes.

"H-How?!!" Zero bellowed. "T-T-This doesn't make sense! You should be dead!!!"

• Between two parts of the text: records of crystals:
____________
(1)
This record from the Alexandria database describes an optimized crystal structure of ZnCu2. The functional is PBE-GGA.

## Properties
Its formation energy is 443 meV per atom. The calculation puts the magnetic moment at 0.00 Bohr magnetons per cell.

Cell lengths 6.390, 6.390, 2.493 Å; angles 90.00, 90.00, 90.00 degrees
Space group P4_2/mnm (No. 136)
Symmetry-distinct sites (fractional):
Zn  0.000  0.000  0.000 (multiplicity 2)
Cu  0.236  0.236  0.500 (multiplicity 4)

---

(2)
This record from the Alexandria database describes an optimized crystal structure of Zn3Cu13. The functional is PBE-GGA.

## Properties
Its formation energy is -47 meV per atom. The calculation puts the magnetic moment at 0.00 Bohr magnetons per cell.

Cell lengths 7.225, 7.348, 7.425 Å; angles 90.00, 90.00, 90.00 degrees
Space group Amm2 (No. 38)
Symmetry-distinct sites (fractional):
Zn  0.000  0.000  0.000 (multiplicity 2)
Zn  0.254  0.000  0.262 (multiplicity 4)
Cu  0.000  0.000  0.511 (multiplicity 2)
Cu  0.000  0.250  0.257 (multiplicity 4)
Cu  0.252  0.000  0.756 (multiplicity 4)
Cu  0.252  0.250  0.008 (multiplicity 8)
Cu  0.500  0.000  0.006 (multiplicity 2)
Cu  0.500  0.000  0.511 (multiplicity 2)
Cu  0.500  0.248  0.758 (multiplicity 4)

---

(3)
This record from the Alexandria database describes an optimized crystal structure of Zn7Cu. The functional is PBE-GGA.

## Properties
Its formation energy is -4 meV per atom. The calculation puts the magnetic moment at 0.00 Bohr magnetons per cell.

Cell lengths 7.740, 7.740, 7.740 Å; angles 90.00, 90.00, 90.00 degrees
Space group Fm-3m (No. 225)
Symmetry-distinct sites (fractional):
Zn  0.000  0.000  0.000 (multiplicity 4)
Zn  0.000  0.250  0.250 (multiplicity 24)
Cu  0.000  0.000  0.500 (multiplicity 4)
____________
• Here the text continues:

"Well, I'm clearly not."

"I'll just keep killing you then!"

And that he did. For the next three minutes or so, Zero attempted to permanently murder me countless times. Each time, I felt immense pain, but then just came back to life. I didn't like dying over and over again, but it was funny seeing Zero's face as he was purely in disbelief. Eventually, after the thirtieth attempt, he gave up.

"You're done?" I teased. "My turn then." Relishing the mental advantage I had over Zero in that moment, I sprinted as fast as I could towards him, powered up as much ki as possible into the sword I was holding, and sliced through the air, blasting a huge stream of cursed ki at him. He blocked the blast, but it still sent him back a little. Using the distance I just gained on him, I quickly went to my friends.

"We have to get out of here!" I said.


"I know Alex I know! I'll explain everything later, but for now we have to go!"

I didn't know how it finally worked, but my Cursed Sword finally came back to my hand as I stretched my right arm out. When it did, I imagined Outer City to the best of my ability, and quickly said the command for opening up rifts. With that, a rift opened before us, and we all prepared to jump through it. Everyone else jumped in before me, and I was the last to go. Even through all the commotion as I was blocking laser blasts left and right with my sword, I hesitated. I had to grab one more person before I departed. Charging up all the remaining cursed ki I could muster up, I zoomed to Lucy, and grabbed her by the legs.

"What the hell do you think you're doing!!" she yelled, squirming.

"Saving you, that's what," I said. "I don't know how, but I can tell this isn't who you are."

"You don't know me-"

"Don't care. You're coming with me." Sprinting at a speed that made me look like I basically teleported, I went back to the rift with Lucy in my arms, jumped through, and closed the rift right before one of Zero's underlings got through.


We got to Outer City, and took Lucy to an abandoned warehouse that some people in Outer City used as a hangout spot. I tied her up to a chair with some rope Phoebe let me borrow, and prepared to interrogate her.

"Tell us everything you know right now," I ordered, strictly.

"Ezra, I thought you wanted to bring her over to our side, not hold her hostage," Hailee said.

"I do, but I still have some questions. Don't act like you guys don't either."

"I definitely do," Phoebe said. "I say we get as much information about Zero's plans that we can get."

"What makes you guys think I'll say anything?" Lucy replied.

"Look," I started. "We're not going to try to torture information out of you. That's not our style. Something inside me is telling me that you're not as bad as a person that you're making yourself out to be. That you're actually good."

"Get whatever's telling you that from inside you checked then, because you're completely off the mark."

"Am I?"

"Yes. You are."

"I know it was just an act, but then why did I feel like you were genuinely having a good time when we danced together at the party?"

"You guys danced together?" Alex asked.

"Long story short, she made it seem like she liked me, we danced, kissed, and then she drugged me."

"Yeah, and I had a genuinely good time doing the drugging part," Lucy smirked. "Can't say the same for everything else though."

"You say that, but I saw it in your eyes, Lucy," I said. "Just tell the truth. You're working with Zero because he has something on you, right? Or did he promise you something?"

"You don't know me at all so stop acting like you do!" Lucy shouted.

"I know," I retorted. "That's why I'm trying to get to know you."

"Well, stop. I'm not telling you anything."

"Lucy, I know you're holding out some information. You can trust us."

"No leave me alone! You don't know anything!"

"I know that Zero has something on you that's making you work with a evil douchebag like him."

"No he doesn't!"

"Just tell us!"

"He doesn't!"

"Yes he does!"


"Lucy let us help you!"

"Fine! I'm working with him because he promised once he got full control of the Cursed Sword and the Trident of Destruction that he would get rid of my mother's deadly disease as long as I do what he orders!! Happy now?!!!"

We all stood there in the room frozen for a while after hearing Lucy's depressing reply to my incessant pestering. It took me a minute before I was able to speak again.

"B-But couldn't he have done that when you brought me to the Dark Phoenix headquarters? The sword was right there up for grabs."

"The power needed to do things like healing my mother requires all ten Cursed Stones to be in the sword."


"Yeah, 'oh,'" she huffed.

"Well, I can't promise that I'll be able to get the trident from Zero, and all of the ten Cursed Stones. But, I can promise that if I ever get my hands on both, I'll utilize the power to save your mother. And I'm not going to make you agree to anything weird. I'll do it out of my own free will."

"Why should I trust you?" Lucy asked. "What kind of person would help a person who drugged them, kidnapped them, and kicked them in the face twice?"

"I don't know? A person like me, I guess?" I decided to free her from the rope, and extended my hand out for a handshake.

"What do you say?" I started. "Friends?"

"...sure," Lucy responded. She didn't shake my hand, and just got up from the chair. I was a little hurt, but I could tell I was making a tiny bit of progress despite her being distant. Maybe I wasn't able to get her to put her guard down completely, but I was sure I'd be able to in the future.

Ezra Phantoms: The Cursed SwordWhere stories live. Discover now